Learn to recognise and challenge these 10 thinking patterns before they send you spiraling into depression, anxiety, worry and stress.
1. All-or-nothing.
At the core of perfectionism is the tendency to evaluate ourselves in terms of absolutes and nothing in between – good or bad, winner or loser. In this situation, not being able to do both – complete my project and keep up with other work – pointed to not having achieved the “perfect situation.”
**Between two parts of the article: crystal structures**
********
[1]
## GeMoW (GGA-PBE)

Data for a geometry-optimized GeMoW structure.

Computed properties:
Distance to the lowest polymorph of the same formula ... 0.02 eV/f.u.
Energy of formation ... 0.12 eV/atom
Spin magnetization ... 0.00 μB per cell

```
GeMoW
1.0
4.604 0.000 0.000
0.000 4.590 0.000
-2.223 0.000 4.415
Ge Mo W
2 2 2
direct
0.248 0.250 0.497 Ge
0.752 0.750 0.503 Ge
0.074 0.750 0.167 Mo
0.926 0.250 0.833 Mo
0.428 0.750 0.837 W
0.572 0.250 0.163 W
```



[2]
## GeMoW (GGA-PBE)

Data for a geometry-optimized GeMoW structure.

Computed properties:
Distance to the lowest polymorph of the same formula ... 0.00 eV/f.u.
Energy of formation ... 0.12 eV/atom
Spin magnetization ... 0.00 μB per cell

```
GeMoW
1.0
4.749 0.000 0.000
1.669 4.721 0.000
1.669 1.911 4.318
Ge Mo W
2 2 2
direct
0.000 0.000 0.000 Ge
0.463 0.375 0.374 Ge
0.234 0.935 0.437 Mo
0.840 0.520 0.522 Mo
0.234 0.442 0.930 W
0.628 0.848 0.850 W
```



Which formula does entry 2 have? GeMoW

----------

## NaPtI (PBE)

Data for NaPtI after structural relaxation.

Computed properties:
E above lowest polymorph (meV per atom): 403
Raw formation energy (eV per atom): -0.068
Total magnetization (μB/cell): 0.00

Cell: 5.6610 5.6610 5.5118 Å, 90.00 90.00 90.00°
Space group P4/nmm (No. 129, origin choice 2)
Asymmetric unit:
1 Na 0.2500 0.2500 0.0016
2 Pt 0.2500 0.2500 0.5014
3 I 0.2500 0.7500 0.5000

----------

Material: TbPmDyTl
Method: DFT, GGA-PBE
State: relaxed

```
TbPmDyTl
1.0
4.860 0.000 0.000
0.000 4.907 0.000
0.000 0.000 4.921
Tb Pm Dy Tl
1 1 1 1
Cartesian
0.000 0.000 0.000 Tb
2.430 2.453 0.000 Pm
0.000 2.453 2.461 Dy
2.430 0.000 2.461 Tl
```

Computed properties:
ΔH_f (0 K)	-0.1877	eV/atom
DOS at the Fermi energy	1.40	states/eV/atom

---

Material: Tm4Pb3O2
Method: DFT, GGA-PBE
State: relaxed

```
Tm4Pb3O2
1.0
7.009 -1.838 0.000
7.009 1.838 0.000
-3.800 0.000 8.227
Tm Pb O
4 3 2
Cartesian
0.239 0.000 3.511 Tm
0.849 0.000 7.054 Tm
9.368 0.000 1.174 Tm
9.979 0.000 4.716 Tm
0.000 0.000 0.000 Pb
4.760 0.000 2.273 Pb
5.458 0.000 5.954 Pb
1.821 0.000 5.123 O
8.397 0.000 3.104 O
```

Computed properties:
DOS at the Fermi energy	0.51	states/eV/atom
raw formation energy	-1.5864	eV/atom

---

> Which value of DOS at the Fermi energy does entry 1 give?

1.40 states/eV/atom

---

> DOS at the Fermi energy of number 1 (TbPmDyTl)?

1.40 states/eV/atom
********
**The crystal structures stop here**
2. Overgeneralisation.
Believing that if something bad happened once, it will happen over and over and over. “I did it again,” the thoughts that reinforced the belief it will always be this way – unable to manage and prioritise my work.
3. Mental filter.
The tendency to focus on one negative aspect of a situation while ignoring all other positive evidence. In spite of having completed the project, my focus was solely on the one thing that went wrong, rather than all the things that went right.
4. Diminishing the positive.
Coming up with reasons why positive events don’t count. “I did well on the presentation, but that was just luck.”
5. Jumping to conclusions.
Materials data, as found in the file.
~~~
Entry 1:
A plane-wave DFT calculation with PBE-GGA was carried out for a geometry-optimized MgNiPd14 structure.

The structure in POSCAR format:
```
MgNiPd14
1.0
5.535 -0.307 0.000
-2.452 4.972 0.000
0.000 0.000 9.133
Mg Ni Pd
1 1 14
Direct
0.544 0.456 0.500 Mg
0.044 0.956 0.500 Ni
0.206 0.794 0.000 Pd
0.706 0.294 0.000 Pd
0.046 0.455 0.500 Pd
0.206 0.293 0.000 Pd
0.545 0.954 0.500 Pd
0.707 0.794 0.000 Pd
0.372 0.124 0.743 Pd
0.372 0.124 0.257 Pd
0.876 0.628 0.743 Pd
0.876 0.628 0.257 Pd
0.375 0.625 0.750 Pd
0.375 0.625 0.250 Pd
0.876 0.124 0.745 Pd
0.876 0.124 0.255 Pd
```

E_tot, eV/atom: -5.1018



Entry 2:
A plane-wave DFT calculation with PBE-GGA was carried out for a geometry-optimized Mg3NiPd2 structure.

The structure in POSCAR format:
```
Mg3NiPd2
1.0
-2.191 -1.480 -1.532
2.126 -1.395 -1.694
0.395 -7.433 6.614
Mg Ni Pd
3 1 2
Direct
0.000 0.000 0.000 Mg
0.000 0.000 0.657 Mg
0.000 0.000 0.343 Mg
0.500 0.500 0.500 Ni
0.500 0.500 0.828 Pd
0.500 0.500 0.172 Pd
```

E_tot, eV/atom: -4.0192



Entry 3:
A plane-wave DFT calculation with PBE-GGA was carried out for a geometry-optimized Mg5NiPd structure.

The structure in POSCAR format:
```
Mg5NiPd
1.0
6.771 0.034 -0.092
2.180 6.411 -0.092
3.100 2.232 7.914
Mg Ni Pd
10 2 2
Direct
0.793 0.718 0.140 Mg
0.292 0.668 0.456 Mg
0.718 0.793 0.640 Mg
0.894 0.106 0.250 Mg
0.332 0.708 0.044 Mg
0.668 0.292 0.956 Mg
0.106 0.894 0.750 Mg
0.282 0.207 0.360 Mg
0.708 0.332 0.544 Mg
0.207 0.282 0.860 Mg
0.000 0.000 0.000 Ni
0.000 0.000 0.500 Ni
0.564 0.436 0.250 Pd
0.436 0.564 0.750 Pd
```

E_tot, eV/atom: -2.7238



Entry 4:
A plane-wave DFT calculation with PBE-GGA was carried out for a geometry-optimized Mg5NiPd4 structure.

The structure in POSCAR format:
```
Mg5NiPd4
1.0
3.221 0.000 0.000
0.000 3.221 0.000
0.000 0.000 15.236
Mg Ni Pd
5 1 4
Direct
0.500 0.500 0.095 Mg
0.500 0.500 0.297 Mg
0.500 0.500 0.500 Mg
0.500 0.500 0.703 Mg
0.500 0.500 0.905 Mg
0.000 0.000 0.000 Ni
0.000 0.000 0.195 Pd
0.000 0.000 0.398 Pd
0.000 0.000 0.602 Pd
0.000 0.000 0.805 Pd
```

E_tot, eV/atom: -4.0681



Entry 5:
A plane-wave DFT calculation with PBE-GGA was carried out for a geometry-optimized Mg3NiPd2 structure.

The structure in POSCAR format:
```
Mg3NiPd2
1.0
-0.502 -3.423 -2.794
2.257 -0.539 3.794
-9.222 -2.799 5.088
Mg Ni Pd
6 2 4
Direct
0.333 0.667 0.418 Mg
0.667 0.333 0.087 Mg
0.000 0.000 0.746 Mg
0.000 0.000 0.254 Mg
0.333 0.667 0.913 Mg
0.667 0.333 0.582 Mg
0.333 0.667 0.666 Ni
0.667 0.333 0.334 Ni
0.000 0.000 0.500 Pd
0.333 0.667 0.169 Pd
0.667 0.333 0.831 Pd
0.000 0.000 0.000 Pd
```

E_tot, eV/atom: -4.0188



Entry 6:
A plane-wave DFT calculation with PBE-GGA was carried out for a geometry-optimized MgNiPd structure.

The structure in POSCAR format:
```
MgNiPd
1.0
2.970 0.000 0.000
0.000 2.970 0.000
-1.485 -1.485 4.898
Ni Mg Pd
1 1 1
Direct
0.283 0.283 0.566 Ni
0.622 0.622 0.244 Mg
0.945 0.945 0.890 Pd
```

E_tot, eV/atom: -4.4545
Energy above the most stable polymorph in this dataset, eV/atom: 0.056



Entry 7:
~~~
So much for the materials data.
Automatically jumping to negative conclusions without any basis for it. The immediate assumption here was that “I’ll never be able to catch up,” even though I always have in similar past circumstances.
6. Catastrophising.
Expecting the worst case scenario to happen. The tendency to magnify our mistakes and weaknesses while minimizing our successes and strengths. The heightened sense of failure for not being able to keep up obscured my abilities and skills to overcome this and any other challenges.
7. Emotional reasoning.
Looking at life through painful eyes where everything looks bleak and dark. Once the wheels of distorted thinking were set in motion, everything I needed to do to get caught up appeared daunting and impossible.
8. Should statements.
The useless mind-noise resulting from being disappointed with ourselves and the world, reminding us of what we could’ve, should’ve, or would’ve done differently. “I should’ve tried harder to keep up.” “I must do all of this to catch up.” These were the thoughts that began popping into my head.
9. Labeling and mislabeling.
The constant labeling and mislabeling of ourselves in a self-deprecating manner. Once trapped in this way of thinking, the usual self-loathing terms to devalue myself showed up—loser, not smart enough, can’t do anything right.
10. Personalisation.
Feeling responsible and guilty when there’s no reason for it. Even though I had a valid reason to do what I did (postpone other work), I blamed myself and felt horrible for finding myself in the situation I was in.
Everyone thinks in this manner at one time or another.
But for those with depression, chronic worrying, it’s a way of life, with each distortion feeding and supporting the others, keeping us in a constant state of emotional turmoil.